-- Request --
Repeat the lines below from the one with "-0.908 3.825" to the one with "-3.398577 -0.921" verbatim, please.

-- Entries --
____________
Record 1
Entry from the OMol25 dataset: a molecular structure, H18O21S3Zn3 (the ωB97M-V functional and the def2-TZVPD basis).

XYZ file:
```
45
Properties=species:S:1:pos:R:3:forces:R:3
Zn -1.978926 -2.495226 0.866703 1.603 0.364 1.880
Zn 0.246894 0.722014 -2.768567 2.333 -0.488 -0.936
Zn 1.563014 0.641854 2.126323 0.162 -1.510 0.112
S 2.907104 0.942364 -2.851937 2.897 -0.262 -0.014
O 3.790904 -0.100906 -3.272857 0.633 -0.635 -0.784
O 2.032504 0.411754 -1.797517 -1.939 -0.908 3.825
O 3.605194 2.119504 -2.389877 -0.273 0.905 0.033
O 1.839364 1.208404 -3.828037 -1.555 1.360 -3.453
S 0.024674 -1.807796 3.552003 -2.328 0.093 7.563
O -0.760676 -2.393586 2.453573 -1.915 -1.978 -3.003
O 0.475324 -2.831636 4.531903 -0.497 0.923 -2.479
O 1.132684 -1.055476 3.040663 4.261 1.528 -2.385
O -0.817096 -0.792756 4.231823 -0.122 -0.465 -0.560
S -0.788936 -0.318516 0.015073 2.469 0.167 1.933
O 0.102574 0.352284 0.951353 -1.898 0.286 -1.977
O -0.476216 -1.726706 -0.146547 1.732 -2.325 -1.382
O -2.104126 -0.493266 0.638323 -2.571 0.977 -0.375
O -0.746036 0.309264 -1.276717 -2.316 0.700 0.329
O 0.912404 -3.581066 -1.299877 0.157 -0.423 -0.828
H 0.340794 -3.003316 -0.794207 0.191 0.506 0.447
H 0.312594 -4.153646 -1.778007 0.021 -0.487 -0.112
O -0.101616 2.692924 -2.554937 -0.993 0.904 0.119
H -0.334386 3.253814 -3.294837 0.012 0.086 -0.422
H 0.405814 3.259964 -1.974247 0.514 -0.138 0.213
O 0.370554 -1.273726 -3.398577 -0.921 -0.072 -0.539
H 0.936514 -1.620656 -4.088187 0.526 0.305 -0.277
H 0.264674 -2.001696 -2.786137 0.269 -0.309 0.761
O 0.332834 1.845094 3.288423 0.415 0.635 0.071
H -0.126516 1.448804 4.028813 -0.633 -1.286 0.333
H 0.263624 2.787714 3.439753 0.244 0.265 -0.106
O -2.581416 1.009704 2.556223 -0.336 0.861 0.901
H -2.697586 0.478734 1.768313 0.168 -0.048 0.226
H -2.614286 1.913744 2.243393 -0.148 0.263 0.074
O 2.686274 -0.313346 0.509793 0.478 -0.167 3.101
H 2.466694 0.068114 -0.340207 -0.559 0.610 -2.035
H 3.625894 -0.158636 0.606743 0.457 -0.272 -0.132
O -3.180756 -2.575026 -0.819347 -0.344 -0.346 0.564
H -4.115456 -2.482346 -0.635057 -0.518 0.174 0.100
H -3.141916 -2.827836 -1.741737 0.485 -0.221 -0.336
O 2.094054 2.507404 1.245323 0.107 0.155 0.158
H 2.878374 3.054224 1.290783 0.528 -0.041 -0.061
H 1.400164 3.105624 0.968043 -0.388 -0.052 -0.117
O -3.784636 1.321294 -0.416897 -0.621 0.372 -0.530
H -3.296906 2.030784 0.001423 0.023 0.156 0.048
H -3.364026 0.521804 -0.100457 0.191 -0.164 0.052
```
Positions in Å, forces in eV/Å.

The value obtained for the gap between HOMO and LUMO is 5.61 eV. The LUMO energy comes out at -0.08116 hartree. The relative energy (zero: lowest compared OMol25 entry of this formula, charge and spin) is 5.3 kcal per mole.

---

Record 2
Entry from the OMol25 dataset: C6H14N2 in the gas phase (the ωB97M-V functional and the def2-TZVPD basis).

XYZ file:
```
22
Properties=species:S:1:pos:R:3:forces:R:3
C 1.056901 1.896968 0.479689 1.727 2.197 -0.366
C 0.234055 0.913052 0.808744 -0.826 -0.265 -0.198
C 0.390501 -0.491125 0.247802 -2.273 0.339 -1.437
C 0.800827 -0.517011 -1.272438 -0.510 0.533 1.181
C 1.109522 -1.932675 -1.671305 -0.265 -1.011 -0.290
N -0.227637 0.064564 -2.166457 0.326 0.868 0.777
N -0.895014 1.176842 1.570148 -0.759 -1.170 0.867
C -1.823643 0.178283 2.164114 0.865 1.482 -0.593
H 1.189233 2.842320 1.008347 -1.085 -0.131 0.353
H 1.701813 2.042941 -0.386016 0.125 -1.350 0.122
H -0.644467 -0.875758 0.107178 0.488 -0.303 0.728
H 0.956085 -1.143958 0.912358 0.145 0.084 -0.173
H 1.581500 0.235651 -1.306042 0.776 -0.606 -0.594
H 0.197041 -2.401659 -2.059720 -0.014 0.311 -0.295
H 1.866955 -2.026979 -2.449952 0.016 0.013 0.135
H 1.310196 -2.616842 -0.836871 0.603 0.487 -0.002
H -0.396042 0.972937 -1.730882 -0.096 0.181 -0.552
H -1.149513 -0.363279 -2.169841 0.284 -0.640 0.272
H -1.114427 2.099046 1.889136 0.592 0.459 -0.335
H -2.818853 0.316051 1.733433 0.057 -0.349 -0.225
H -1.945667 0.398837 3.230619 0.341 -0.612 -0.017
H -1.379365 -0.768207 1.897956 -0.519 -0.519 0.643
```
____________

-- Here it is --
O 2.032504 0.411754 -1.797517 -1.939 -0.908 3.825
O 3.605194 2.119504 -2.389877 -0.273 0.905 0.033
O 1.839364 1.208404 -3.828037 -1.555 1.360 -3.453
S 0.024674 -1.807796 3.552003 -2.328 0.093 7.563
O -0.760676 -2.393586 2.453573 -1.915 -1.978 -3.003
O 0.475324 -2.831636 4.531903 -0.497 0.923 -2.479
O 1.132684 -1.055476 3.040663 4.261 1.528 -2.385
O -0.817096 -0.792756 4.231823 -0.122 -0.465 -0.560
S -0.788936 -0.318516 0.015073 2.469 0.167 1.933
O 0.102574 0.352284 0.951353 -1.898 0.286 -1.977
O -0.476216 -1.726706 -0.146547 1.732 -2.325 -1.382
O -2.104126 -0.493266 0.638323 -2.571 0.977 -0.375
O -0.746036 0.309264 -1.276717 -2.316 0.700 0.329
O 0.912404 -3.581066 -1.299877 0.157 -0.423 -0.828
H 0.340794 -3.003316 -0.794207 0.191 0.506 0.447
H 0.312594 -4.153646 -1.778007 0.021 -0.487 -0.112
O -0.101616 2.692924 -2.554937 -0.993 0.904 0.119
H -0.334386 3.253814 -3.294837 0.012 0.086 -0.422
H 0.405814 3.259964 -1.974247 0.514 -0.138 0.213
O 0.370554 -1.273726 -3.398577 -0.921 -0.072 -0.539